=====
81
Properties=species:S:1:pos:R:3:forces:R:3:lowdin_charge:R:1 method="wB97M-V/def2-TZVPD" charge=+3 homo_ev="-13.8974 / -14.6377" spin_multiplicity=2 orbital_gap_ev="3.9583 / 4.8238" s_squared=0.794 lumo_ev="-9.94 / -9.81" largest_force_ev_per_a=1.23
H -5.41695 5.32231 -0.33333 0.001 -0.021 -0.002 0.14
H 5.32108 -0.82030 -2.85257 -0.009 -0.015 0.002 0.01
C 4.65735 -1.61625 -3.18908 -0.260 0.092 -0.239 -0.27
C -3.50400 1.04205 -0.99090 0.383 -0.459 -0.225 -0.16
C 4.82212 2.70723 -1.33901 -0.013 -0.039 0.022 0.02
H 5.60933 -2.86114 -0.69012 0.029 0.044 -0.008 0.03
C 0.88426 -3.95476 0.75190 0.024 0.411 -0.254 -0.25
H 1.83526 -2.65439 3.70340 -0.037 0.008 -0.034 0.03
H 5.56580 1.92361 1.87900 -0.001 0.000 -0.005 0.13
H 7.10967 3.59276 0.89557 0.001 0.001 0.005 0.13
C -9.93806 5.88073 1.50197 0.078 -0.088 -0.048 0.05
C 2.55600 -4.77212 -1.04550 -0.362 0.148 0.274 -0.33
C -2.23607 1.57959 -0.44690 -0.342 0.286 0.147 -0.05
H -10.94822 5.80844 1.88392 -0.008 0.013 0.012 0.11
C 4.68622 -2.60080 -0.17663 -0.131 -0.045 0.052 -0.24
C 0.27026 2.38660 0.35873 -0.031 0.141 0.157 -0.07
C 5.07411 1.93088 0.91561 -0.027 -0.041 0.039 0.02
H 4.93000 -7.18100 -0.77082 -0.012 0.010 -0.007 0.12
Sb 1.14594 -1.81867 1.25790 0.602 -0.744 0.136 1.38
H 1.06788 -3.40246 -1.71688 0.003 0.031 -0.286 0.03
H 2.22836 -5.71667 2.19252 0.022 -0.010 0.007 0.12
H 3.95630 -5.62146 -2.42025 0.004 0.005 0.025 0.13
C 4.13483 -6.50940 -0.47576 0.024 0.011 -0.145 -0.05
H 1.27280 2.67255 0.65029 -0.012 0.010 -0.002 0.12
C -2.38145 -1.03806 -1.74627 0.311 -0.090 0.072 0.05
O -0.04229 -1.10398 -1.47119 0.803 -0.345 -0.096 -0.18
O -9.53011 4.49135 1.28897 -0.122 0.005 0.050 0.04
H -9.92179 6.40588 0.55018 -0.002 0.010 0.002 0.12
H -6.87266 1.23191 -0.02707 -0.029 0.003 0.011 0.13
C 2.04121 -4.79441 0.26656 0.296 -0.032 0.179 -0.28
C -7.03421 2.28683 0.14399 0.235 -0.078 -0.092 0.06
C -3.49066 -0.30843 -1.58925 -0.208 0.418 0.143 0.05
C -2.08766 2.79773 0.22268 -0.063 -0.206 -0.108 0.04
H -2.93867 3.42508 0.42898 -0.025 -0.008 0.007 0.11
C -1.08565 0.82066 -0.64081 0.149 -0.817 -0.489 -0.15
C -6.20844 4.64642 -0.03499 0.069 -0.131 -0.071 0.07
H 0.03742 -3.98095 0.06324 -0.016 -0.012 0.044 0.07
H 4.15362 -1.31098 -4.10356 0.046 0.011 -0.016 0.02
H -9.27665 6.33682 2.23403 -0.009 0.018 0.010 0.11
H 3.27783 -2.66838 2.66768 0.045 -0.017 -0.023 0.01
C -5.97761 3.21960 -0.22906 -0.260 0.317 0.090 -0.23
H 4.33178 -3.48302 0.35489 -0.034 0.036 0.027 0.00
Ir 1.70862 -0.16546 -0.78427 -1.088 -0.207 0.183 0.73
N 3.32385 1.05485 -0.46289 0.109 0.027 0.406 -0.23
N -4.65737 1.60652 -1.06695 -0.432 0.681 0.219 0.11
N 6.59058 3.57194 0.03479 -0.032 -0.038 0.004 0.18
C -0.69691 -1.48712 2.26208 -0.102 0.308 -0.154 -0.26
H 4.87378 -1.79433 0.52978 0.043 0.047 -0.012 0.00
C 3.58379 -5.63399 -1.40137 0.021 -0.080 0.008 -0.04
C 3.75673 1.85862 -1.45991 -0.017 -0.044 -0.046 -0.14
C -0.82334 3.19783 0.61654 0.163 0.035 0.038 0.01
C -8.38456 4.16394 0.82642 0.046 0.025 -0.003 -0.20
N -4.83310 2.90935 -0.75272 0.239 -0.719 -0.157 0.13
C 3.65838 -6.52027 0.82298 -0.029 -0.034 0.116 -0.05
H -0.59747 -0.65910 2.96703 0.082 -0.094 -0.063 0.03
H 2.09510 -3.98144 -3.04214 0.102 -0.114 -0.014 0.08
H 5.23863 -2.51814 -3.37492 -0.051 -0.014 0.062 0.03
H -1.47838 -1.23724 1.54724 -0.114 -0.068 0.008 0.00
C 2.07522 -3.71789 -1.98809 -0.166 0.012 0.101 -0.27
H 6.92617 4.14706 -0.71847 -0.001 0.007 -0.005 0.13
H -0.68086 4.14007 1.12662 0.033 -0.007 -0.009 0.13
H -8.99784 2.08742 0.93631 -0.007 0.021 -0.002 0.15
H -7.53433 6.16802 0.60316 -0.006 0.001 0.006 0.13
C -7.36443 5.10965 0.47463 -0.059 -0.029 0.024 0.05
Sb 3.26607 -1.97982 -1.63282 0.726 -0.082 -0.001 1.35
H 3.21441 1.79448 -2.39523 -0.011 0.003 -0.001 0.12
C 5.53506 2.76463 -0.12311 0.056 0.073 -0.027 -0.29
C 3.99616 1.11480 0.70502 0.059 0.094 -0.014 -0.15
C 2.39905 -2.09710 2.95641 0.077 0.211 -0.143 -0.27
H 5.11310 3.31817 -2.18279 -0.007 -0.005 0.007 0.13
H -0.97092 -2.39168 2.80299 0.031 -0.017 -0.050 0.03
=====

Echo the part of the calculation results earlier on that starts with the line with "2.09510 -3.98144" and stops after the one with "-0.068 0.008".

H 2.09510 -3.98144 -3.04214 0.102 -0.114 -0.014 0.08
H 5.23863 -2.51814 -3.37492 -0.051 -0.014 0.062 0.03
H -1.47838 -1.23724 1.54724 -0.114 -0.068 0.008 0.00